Contents.
........
1.
Entry from the Open Molecules 2025 dataset: a single C5H8N2O3 molecule (ωB97M-V/def2-TZVPD).

Relative energy (zero: lowest compared OMol25 entry of this formula, charge and spin) (eV): 2.318
Kohn-Sham gap (eV): 9.6
SMILES: [H]/N=C(/O)CO/C(C=O)=N/C

```
18
Properties=species:S:1:pos:R:3:forces:R:3:lowdin_charge:R:1
H 2.1997 2.0153 0.3495 0.03 0.00 -0.02 0.052
N 3.0135 1.4066 0.2863 -0.95 0.11 -1.32 0.148
C 2.6942 0.2687 -0.2083 -0.03 1.33 3.82 -0.474
O 3.6542 -0.6459 -0.1076 2.38 -0.17 1.72 0.019
C 1.3326 -0.3745 -0.1343 -0.13 -0.42 -1.44 -0.119
O 0.3622 0.6421 -0.0926 0.08 0.45 -0.11 -0.044
C -0.9307 0.2665 -0.0601 -0.53 -0.56 -0.04 -0.348
C -1.7918 1.5103 -0.0847 -0.25 0.11 -0.02 -0.139
O -2.9778 1.5006 0.1167 0.38 -0.06 -0.07 0.085
N -1.2763 -0.9456 -0.0462 0.43 0.38 0.01 0.081
C -2.6581 -1.3715 -0.0280 -0.45 -0.02 0.08 -0.114
H 4.2414 -0.2016 0.6486 -1.18 -1.43 -2.68 0.185
H 1.2580 -1.0152 0.7574 0.29 0.26 -0.24 0.148
H 1.1970 -1.0207 -1.0148 -0.24 0.04 0.27 0.140
H -1.2378 2.4431 -0.3222 -0.09 -0.16 0.09 0.133
H -2.6910 -2.4654 -0.0985 0.05 0.31 0.00 0.073
H -3.1575 -1.0666 0.9035 0.11 -0.08 -0.27 0.088
H -3.2317 -0.9462 -0.8645 0.11 -0.09 0.22 0.086
```
Forces are in eV/Å.

2.
Entry from the Open Molecules 2025 dataset: a molecular structure, C41H44Br51FN2O4S (ωB97M-V/def2-TZVPD).

Kohn-Sham gap (eV): 8.0

```
144
Properties=species:S:1:pos:R:3:forces:R:3:lowdin_charge:R:1
C -4.8461 0.2454 -6.9414 -0.30 0.95 0.73 0.018
C -3.6277 1.1828 -6.7317 -0.03 -1.31 -1.24 -0.501
O -2.5717 0.8252 -7.2004 -0.18 0.68 0.65 0.091
O -3.7976 2.3541 -6.0458 0.04 -1.71 0.50 -0.024
C -2.6963 2.5660 -5.1137 0.51 1.51 -0.10 -0.168
C -3.2245 3.2882 -3.8449 0.89 0.46 0.14 -0.162
C -3.1263 2.4563 -2.5303 -0.39 -0.05 -0.31 -0.169
C -3.5912 0.9636 -2.6533 -0.66 0.57 0.89 -0.115
C -3.1577 0.2200 -1.3795 0.43 -0.13 -0.93 -0.108
C -1.8499 -0.1968 -1.1661 -0.53 -0.55 1.70 -0.091
C -0.7105 0.0373 -2.1621 -0.58 0.04 -0.52 -0.063
C -0.6793 -0.9179 -3.3804 0.19 -0.15 -1.29 -0.141
C -0.4073 -0.3255 -4.6491 -0.09 -0.67 0.38 -0.053
C -0.3141 -1.0946 -5.8210 0.16 -0.42 -0.49 -0.089
C -0.4931 -2.4968 -5.8196 -0.09 0.62 1.65 -0.069
C -0.7694 -3.0907 -4.5653 0.15 0.69 -0.40 -0.051
C -0.8584 -2.3284 -3.3735 -0.23 -0.12 0.32 -0.195
C -1.1198 -3.1144 -2.0762 0.15 -0.58 -0.89 -0.032
C -1.5488 -0.8799 0.1309 0.05 0.24 0.01 -0.104
C -0.1439 -1.3723 0.5230 0.08 -0.06 -0.41 -0.158
C 0.5077 -0.5536 1.6812 -0.57 -0.31 -0.60 -0.169
C 0.5683 0.9835 1.3970 -0.02 -0.94 0.43 -0.087
C 1.8370 1.4361 0.6521 0.63 0.91 0.85 -0.473
O 2.5111 2.3093 1.1395 -0.44 -0.37 -0.49 0.084
O 2.2508 0.9108 -0.5665 -0.63 -0.31 0.58 0.023
C -2.5236 -1.0870 1.0749 -0.04 0.24 -0.20 -0.154
F -2.1921 -1.6966 2.2531 -0.28 0.13 -0.55 0.031
C -3.8940 -0.6621 0.9134 2.11 -0.30 -0.63 -0.291
N -4.8709 -0.8034 1.8099 -0.52 1.02 -1.86 -0.221
S -6.1612 -0.1073 1.0229 1.13 0.40 -0.48 0.823
N -5.4738 0.3322 -0.3786 0.38 -0.06 0.23 -0.222
C -4.1648 -0.0079 -0.3698 -0.86 -0.62 1.78 -0.254
H -4.5711 -0.7928 -6.6793 0.17 0.63 -0.23 0.089
H -5.1622 0.2732 -8.0018 0.15 0.05 0.62 0.089
H -5.6670 0.5494 -6.2659 0.19 -0.12 -0.56 0.079
H -1.9720 3.2223 -5.6428 -0.35 -0.37 0.37 0.105
H -2.1468 1.6378 -4.8842 -0.61 0.26 -0.21 0.083
H -4.2323 3.7209 -4.0111 0.46 -0.57 -0.01 0.099
H -2.5562 4.1795 -3.7063 -0.65 -0.63 -0.03 0.082
H -2.0965 2.4998 -2.1244 -0.47 -0.01 -0.34 0.101
H -3.7656 2.9465 -1.7654 0.37 -0.31 -0.35 0.121
H -4.7031 0.9796 -2.6434 0.63 -0.09 -0.18 0.113
H -3.2969 0.4646 -3.5931 0.25 0.17 0.56 0.112
H -0.8666 1.0534 -2.5832 0.20 -0.62 0.19 0.102
H 0.2839 0.0821 -1.6790 -0.65 -0.12 -0.13 0.101
H -0.2549 0.7644 -4.7011 0.00 -0.63 -0.04 0.110
H -0.0733 -0.6225 -6.7864 -0.24 -0.02 0.66 0.106
H -0.4003 -3.1152 -6.7189 -0.07 0.43 0.35 0.103
H -0.9059 -4.1787 -4.4999 0.04 0.52 0.01 0.105
H -0.2112 -3.0741 -1.4530 -0.65 0.05 0.07 0.073
H -2.0405 -2.8126 -1.5491 0.62 0.09 -0.07 0.076
H -1.2632 -4.1831 -2.3469 0.11 0.61 0.19 0.079
H -0.2420 -2.4488 0.7859 0.19 0.66 0.11 0.125
........

To do.
Restate everything further up without altering anything.

Result.
1.
Entry from the Open Molecules 2025 dataset: a single C5H8N2O3 molecule (ωB97M-V/def2-TZVPD).

Relative energy (zero: lowest compared OMol25 entry of this formula, charge and spin) (eV): 2.318
Kohn-Sham gap (eV): 9.6
SMILES: [H]/N=C(/O)CO/C(C=O)=N/C

```
18
Properties=species:S:1:pos:R:3:forces:R:3:lowdin_charge:R:1
H 2.1997 2.0153 0.3495 0.03 0.00 -0.02 0.052
N 3.0135 1.4066 0.2863 -0.95 0.11 -1.32 0.148
C 2.6942 0.2687 -0.2083 -0.03 1.33 3.82 -0.474
O 3.6542 -0.6459 -0.1076 2.38 -0.17 1.72 0.019
C 1.3326 -0.3745 -0.1343 -0.13 -0.42 -1.44 -0.119
O 0.3622 0.6421 -0.0926 0.08 0.45 -0.11 -0.044
C -0.9307 0.2665 -0.0601 -0.53 -0.56 -0.04 -0.348
C -1.7918 1.5103 -0.0847 -0.25 0.11 -0.02 -0.139
O -2.9778 1.5006 0.1167 0.38 -0.06 -0.07 0.085
N -1.2763 -0.9456 -0.0462 0.43 0.38 0.01 0.081
C -2.6581 -1.3715 -0.0280 -0.45 -0.02 0.08 -0.114
H 4.2414 -0.2016 0.6486 -1.18 -1.43 -2.68 0.185
H 1.2580 -1.0152 0.7574 0.29 0.26 -0.24 0.148
H 1.1970 -1.0207 -1.0148 -0.24 0.04 0.27 0.140
H -1.2378 2.4431 -0.3222 -0.09 -0.16 0.09 0.133
H -2.6910 -2.4654 -0.0985 0.05 0.31 0.00 0.073
H -3.1575 -1.0666 0.9035 0.11 -0.08 -0.27 0.088
H -3.2317 -0.9462 -0.8645 0.11 -0.09 0.22 0.086
```
Forces are in eV/Å.

2.
Entry from the Open Molecules 2025 dataset: a molecular structure, C41H44Br51FN2O4S (ωB97M-V/def2-TZVPD).

Kohn-Sham gap (eV): 8.0

```
144
Properties=species:S:1:pos:R:3:forces:R:3:lowdin_charge:R:1
C -4.8461 0.2454 -6.9414 -0.30 0.95 0.73 0.018
C -3.6277 1.1828 -6.7317 -0.03 -1.31 -1.24 -0.501
O -2.5717 0.8252 -7.2004 -0.18 0.68 0.65 0.091
O -3.7976 2.3541 -6.0458 0.04 -1.71 0.50 -0.024
C -2.6963 2.5660 -5.1137 0.51 1.51 -0.10 -0.168
C -3.2245 3.2882 -3.8449 0.89 0.46 0.14 -0.162
C -3.1263 2.4563 -2.5303 -0.39 -0.05 -0.31 -0.169
C -3.5912 0.9636 -2.6533 -0.66 0.57 0.89 -0.115
C -3.1577 0.2200 -1.3795 0.43 -0.13 -0.93 -0.108
C -1.8499 -0.1968 -1.1661 -0.53 -0.55 1.70 -0.091
C -0.7105 0.0373 -2.1621 -0.58 0.04 -0.52 -0.063
C -0.6793 -0.9179 -3.3804 0.19 -0.15 -1.29 -0.141
C -0.4073 -0.3255 -4.6491 -0.09 -0.67 0.38 -0.053
C -0.3141 -1.0946 -5.8210 0.16 -0.42 -0.49 -0.089
C -0.4931 -2.4968 -5.8196 -0.09 0.62 1.65 -0.069
C -0.7694 -3.0907 -4.5653 0.15 0.69 -0.40 -0.051
C -0.8584 -2.3284 -3.3735 -0.23 -0.12 0.32 -0.195
C -1.1198 -3.1144 -2.0762 0.15 -0.58 -0.89 -0.032
C -1.5488 -0.8799 0.1309 0.05 0.24 0.01 -0.104
C -0.1439 -1.3723 0.5230 0.08 -0.06 -0.41 -0.158
C 0.5077 -0.5536 1.6812 -0.57 -0.31 -0.60 -0.169
C 0.5683 0.9835 1.3970 -0.02 -0.94 0.43 -0.087
C 1.8370 1.4361 0.6521 0.63 0.91 0.85 -0.473
O 2.5111 2.3093 1.1395 -0.44 -0.37 -0.49 0.084
O 2.2508 0.9108 -0.5665 -0.63 -0.31 0.58 0.023
C -2.5236 -1.0870 1.0749 -0.04 0.24 -0.20 -0.154
F -2.1921 -1.6966 2.2531 -0.28 0.13 -0.55 0.031
C -3.8940 -0.6621 0.9134 2.11 -0.30 -0.63 -0.291
N -4.8709 -0.8034 1.8099 -0.52 1.02 -1.86 -0.221
S -6.1612 -0.1073 1.0229 1.13 0.40 -0.48 0.823
N -5.4738 0.3322 -0.3786 0.38 -0.06 0.23 -0.222
C -4.1648 -0.0079 -0.3698 -0.86 -0.62 1.78 -0.254
H -4.5711 -0.7928 -6.6793 0.17 0.63 -0.23 0.089
H -5.1622 0.2732 -8.0018 0.15 0.05 0.62 0.089
H -5.6670 0.5494 -6.2659 0.19 -0.12 -0.56 0.079
H -1.9720 3.2223 -5.6428 -0.35 -0.37 0.37 0.105
H -2.1468 1.6378 -4.8842 -0.61 0.26 -0.21 0.083
H -4.2323 3.7209 -4.0111 0.46 -0.57 -0.01 0.099
H -2.5562 4.1795 -3.7063 -0.65 -0.63 -0.03 0.082
H -2.0965 2.4998 -2.1244 -0.47 -0.01 -0.34 0.101
H -3.7656 2.9465 -1.7654 0.37 -0.31 -0.35 0.121
H -4.7031 0.9796 -2.6434 0.63 -0.09 -0.18 0.113
H -3.2969 0.4646 -3.5931 0.25 0.17 0.56 0.112
H -0.8666 1.0534 -2.5832 0.20 -0.62 0.19 0.102
H 0.2839 0.0821 -1.6790 -0.65 -0.12 -0.13 0.101
H -0.2549 0.7644 -4.7011 0.00 -0.63 -0.04 0.110
H -0.0733 -0.6225 -6.7864 -0.24 -0.02 0.66 0.106
H -0.4003 -3.1152 -6.7189 -0.07 0.43 0.35 0.103
H -0.9059 -4.1787 -4.4999 0.04 0.52 0.01 0.105
H -0.2112 -3.0741 -1.4530 -0.65 0.05 0.07 0.073
H -2.0405 -2.8126 -1.5491 0.62 0.09 -0.07 0.076
H -1.2632 -4.1831 -2.3469 0.11 0.61 0.19 0.079
H -0.2420 -2.4488 0.7859 0.19 0.66 0.11 0.125